Excerpt >
-- begin --
Here is crystalline PrYMg2 at its relaxed geometry from Materials Project. Energies are from r²SCAN.

Computed properties:
ΔH_f (0 K), kJ per mole of atoms: -9.5
E_tot, eV/cell: -58.448

Cell: 3.8505 3.8505 7.8121 Å, 90.00 90.00 90.00°
Closest atoms and distances in Å follow each position.
Positions (direct):
1 Pr 0.0000 0.0000 0.0000  8 Mg 3.40
2 Y 0.0000 0.0000 0.5000  8 Mg 3.30
3 Mg 0.5000 0.5000 0.2613  4 Y 3.30, 4 Pr 3.40
4 Mg 0.5000 0.5000 0.7387  4 Y 3.30, 4 Pr 3.40

~~~~~

No. 1
Here is a geometry-optimized CsS3 structure from the Materials Project database. Energies are from r2SCAN.

Lattice parameters (Å, degrees): 4.7467 9.3153 11.6516 84.93 84.69 89.60
Positions (direct):
S: 0.5142 0.8599 0.8967
S: 0.7976 0.9864 0.7900
S: 0.6312 0.7906 0.3637
Cs: 0.1069 0.6920 0.6124
S: 0.3572 0.9644 0.3708
S: 0.3688 0.2094 0.6363
Cs: 0.0444 0.3267 0.9040
S: 0.2024 0.0136 0.2100
Cs: 0.8931 0.3080 0.3876
S: 0.4227 0.6119 0.3296
S: 0.5357 0.6525 0.8518
Cs: 0.9556 0.6733 0.0960
S: 0.5773 0.3881 0.6704
S: 0.4858 0.1401 0.1033
S: 0.4643 0.3475 0.1482
S: 0.6428 0.0356 0.6292

Output
**Crystal system**: triclinic
**Total DFT energy (no corrections)**: -12.958 eV/atom

***

No. 2
Here is a geometry-optimized Cs3SbS3 structure from the Materials Project database. Energies are from r2SCAN.

Lattice parameters (Å, degrees): 10.3791 10.3791 10.3791 90.00 90.00 90.00
Positions (direct):
Cs: 0.8215 0.8215 0.8215
S: 0.6584 0.5512 0.2418
S: 0.8416 0.4488 0.7418
Sb: 0.2243 0.7243 0.7757
S: 0.9488 0.7582 0.1584
S: 0.1584 0.9488 0.7582
Cs: 0.5582 0.4418 0.9418
Sb: 0.7243 0.7757 0.2243
S: 0.5512 0.2418 0.6584
S: 0.4488 0.7418 0.8416
Cs: 0.0582 0.0582 0.0582
Cs: 0.1785 0.3215 0.6785
S: 0.7418 0.8416 0.4488
Cs: 0.4418 0.9418 0.5582
S: 0.2418 0.6584 0.5512
Cs: 0.4394 0.0606 0.9394
S: 0.2582 0.3416 0.0512
Cs: 0.9418 0.5582 0.4418
Cs: 0.9394 0.4394 0.0606
Sb: 0.2757 0.2757 0.2757
Cs: 0.3215 0.6785 0.1785
Cs: 0.5606 0.5606 0.5606
Cs: 0.0606 0.9394 0.4394
Sb: 0.7757 0.2243 0.7243
S: 0.3416 0.0512 0.2582
S: 0.0512 0.2582 0.3416
S: 0.7582 0.1584 0.9488
Cs: 0.6785 0.1785 0.3215

Output
**Crystal system**: cubic
**Total DFT energy (no corrections)**: -19.026 eV/atom

***

No. 3
Here is a geometry-optimized Cs2Sb8S13 structure from the Materials Project database. Energies are from r2SCAN.

Lattice parameters (Å, degrees): 8.4660 11.5943 15.5355 85.57 77.95 72.68
Positions (direct):
S: 0.4460 0.2480 0.8702
Sb: 0.2973 0.5302 0.5853
Cs: 0.3645 0.8699 0.9434
S: 0.8577 0.8803 0.1755
S: 0.5552 0.3648 0.5636
S: 0.7640 0.6407 0.9166
S: 0.2360 0.3593 0.0834
S: 0.4046 0.1207 0.3039
S: 0.7280 0.8890 0.4215
S: 0.2080 0.3827 0.4438
S: 0.8404 0.5986 0.2805
S: 0.3874 0.6483 0.6899
Sb: 0.9848 0.3206 0.1831
Sb: 0.6390 0.7973 0.2723
S: 0.7920 0.6173 0.5562
Sb: 0.0344 0.2719 0.5477
S: 0.8295 0.1056 0.7055
Sb: 0.8326 0.6241 0.0668
Sb: 0.7027 0.4698 0.4147
Sb: 0.1031 0.9736 0.7300
S: 0.2720 0.1110 0.5785
Sb: 0.8969 0.0264 0.2700
Cs: 0.6355 0.1301 0.0566
S: 0.1596 0.4014 0.7195
Cs: 0.7119 0.4286 0.7674
S: 0.0240 0.8469 0.5641
S: 0.1705 0.8944 0.2945
Sb: 0.9656 0.7281 0.4523
S: 0.5540 0.7520 0.1298
Sb: 0.7477 0.0047 0.5919
S: 0.0186 0.1204 0.1272
S: 0.1423 0.1197 0.8245
Sb: 0.1674 0.3759 0.9332
Cs: 0.2881 0.5714 0.2326
Sb: 0.0152 0.6794 0.8169
S: 0.5954 0.8793 0.6961
S: 0.2174 0.5776 0.9126
S: 0.4448 0.6352 0.4364
Sb: 0.4845 0.2234 0.4214
S: 0.6126 0.3517 0.3101
Sb: 0.5155 0.7766 0.5786
S: 0.9814 0.8796 0.8728
Sb: 0.2523 0.9953 0.4081
Sb: 0.3610 0.2027 0.7277
S: 0.9760 0.1531 0.4359
S: 0.7826 0.4224 0.0874

Output
**Crystal system**: triclinic
**Total DFT energy (no corrections)**: -16.173 eV/atom

***

No. 4
Here is a geometry-optimized CsSbS6 structure from the Materials Project database. Energies are from r2SCAN.

Lattice parameters (Å, degrees): 14.7833 6.0383 11.4935 71.79 90.00 90.00
Positions (direct):
S: 0.0679 0.1124 0.8748
S: 0.6776 0.7459 0.0886
Cs: 0.9145 0.2843 0.3109
S: 0.1882 0.5870 0.4230
S: 0.6882 0.4130 0.0770
S: 0.3224 0.2541 0.9114
S: 0.5682 0.2494 0.1376
-- stop --

Exercise >
Could you count the lines further above that contain the word "per" and give the number alone?

Done >
1